Source:
=====
1.
# CdSiTeMoHW
Theoretical powder diffraction line list, a wavelength of 1.5418 Å. Input: a crystal structure in Alexandria, relaxed with PBE.

Structure:
```
CdSiTeMoHW
1.0
9.2165 -1.6637 0.0000
9.2165 1.6637 0.0000
-0.0017 0.0000 3.3644
Cd Si Te Mo H W
1 1 1 1 1 1
Cartesian
0.0000 0.0000 0.0000
15.6353 0.0000 3.3632
3.0007 0.0000 3.3602
13.7467 0.0000 1.6781
5.4012 0.0000 1.7036
7.2477 0.0000 1.6804
```

Top 6 peaks for 2θ = 5–70°, low angle first:
| 2theta | intensity |
| --- | --- |
| 28.24 | 71.6 |
| 30.55 | 54.2 |
| 36.37 | 75.1 |
| 38.36 | 100.0 |
| 39.73 | 93.3 |
| 40.88 | 57.2 |

=====

2.
# ThMg4Cd2
Theoretical powder diffraction line list, a wavelength of 1.5418 Å. Input: a crystal structure in Alexandria, relaxed with PBE.

Structure:
```
ThMg4Cd2
1.0
2.5674 -9.6696 0.0000
2.5674 9.6696 0.0000
0.0000 0.0000 3.3809
Th Mg Cd
1 4 2
Cartesian
0.0000 0.0000 0.0000
2.5674 6.5778 1.6904
2.5674 3.9228 0.0000
2.5674 -3.9228 0.0000
2.5674 -6.5778 1.6904
2.5674 1.4808 1.6904
2.5674 -1.4808 1.6904
```

Top 6 peaks for 2θ = 5–70°, low angle first:
| 2theta | intensity |
| --- | --- |
| 9.15 | 100.0 |
| 28.90 | 23.7 |
| 32.03 | 41.9 |
| 32.31 | 17.5 |
| 34.68 | 27.2 |
| 36.95 | 27.2 |

=====

3.
# CsB2H8Rh
Theoretical powder diffraction line list, a wavelength of 1.5418 Å. Input: a crystal structure in Alexandria, relaxed with PBE.

Structure:
```
CsB2H8Rh
1.0
2.4068 1.3896 6.7806
-2.4068 1.3896 6.7806
0.0000 -2.7792 6.7806
Cs B H Rh
1 2 8 1
Cartesian
0.0000 0.0000 0.0000
0.0000 0.0000 4.8019
0.0000 0.0000 15.5397
-1.3686 -0.8022 9.1566
0.0000 0.0000 6.0207
-1.3790 0.7842 11.1850
0.0104 -1.5863 11.1850
-0.0104 1.5864 9.1566
1.3790 -0.7842 9.1566
0.0000 0.0000 14.3209
1.3686 0.8022 11.1850
0.0000 0.0000 10.1708
```

Top 6 peaks for 2θ = 5–70°, low angle first:
| 2theta | intensity |
| --- | --- |
| 23.06 | 100.0 |
| 26.29 | 25.4 |
| 27.67 | 94.2 |
| 37.36 | 39.9 |
| 41.60 | 27.5 |
| 46.26 | 34.1 |

=====

4.
# Tb6Y4Zr
Theoretical powder diffraction line list, a wavelength of 1.5418 Å. Input: a crystal structure in Alexandria, relaxed with PBE.

Structure:
```
Tb6Y4Zr
1.0
8.8069 0.0000 0.0000
0.0000 8.8069 0.0000
0.0000 0.0000 8.8452
Tb Y Zr
12 8 2
Cartesian
0.0000 0.0000 1.5381
0.0000 0.0000 7.3071
1.3092 3.0456 4.4226
1.3578 3.0942 0.0000
3.0456 7.4977 4.4226
3.0942 7.4491 0.0000
4.4035 4.4035 2.8845
4.4035 4.4035 5.9607
5.7127 1.3578 0.0000
5.7613 1.3092 4.4226
7.4491 5.7127 0.0000
7.4977 5.7613 4.4226
1.2991 5.7026 2.2113
1.2991 5.7026 6.6339
3.1044 1.2991 2.2113
3.1044 1.2991 6.6339
5.7026 7.5078 2.2113
5.7026 7.5078 6.6339
7.5078 3.1044 2.2113
7.5078 3.1044 6.6339
0.0000 0.0000 4.4226
4.4035 4.4035 0.0000
```

Top 6 peaks for 2θ = 5–70°, low angle first:
| 2theta | intensity |
| --- | --- |
| 28.66 | 16.2 |
| 30.39 | 100.0 |
| 32.14 | 68.6 |
| 38.13 | 14.6 |
| 46.09 | 13.8 |
| 60.34 | 21.2 |

=====

5.
# Pu6UGe6
Theoretical powder diffraction line list, a wavelength of 1.5418 Å. Input: a crystal structure in Alexandria, relaxed with PBE.

Structure:
```
Pu6UGe6
1.0
5.8247 0.0000 0.0000
0.0000 9.4397 0.0000
-2.5499 0.0000 5.2505
Pu U Ge
6 1 6
Cartesian
0.0000 1.8328 0.0000
-1.2750 2.4696 2.6253
-1.2750 6.9701 2.6253
0.0000 7.6068 0.0000
2.9123 2.6492 0.0000
2.9123 6.7904 0.0000
1.6374 4.7198 2.6253
-1.5298 4.7198 4.4667
-0.1387 0.0000 3.9752
1.6374 1.7700 2.6253
1.6374 7.6697 2.6253
3.4134 0.0000 1.2753
4.8045 4.7198 0.7838
```

Top 6 peaks for 2θ = 5–70°, low angle first:
| 2theta | intensity |
| --- | --- |
| 18.80 | 54.3 |
| 33.77 | 61.4 |
| 34.19 | 100.0 |
| 34.67 | 31.9 |
| 36.36 | 48.5 |
| 39.30 | 82.9 |


1.
The following is a computed XRD peak list of DyHo3In2. It was derived from a structure optimized by DFT (GGA-PBE), using Cu Kα X-rays.
Intensities are scaled so that the largest is 1000.

Structural model:
Lattice parameters (Å, degrees): 5.3666 5.3666 6.6935 90.00 90.00 120.00
Positions (direct):
Dy 0.0000 0.0000 0.0000
Ho 0.3333 0.6667 0.5000
Ho 0.6667 0.3333 0.2507
Ho 0.6667 0.3333 0.7493
=====

To do:
Copy only the lines further above with the word "diffraction" in them.

Reply:
Theoretical powder diffraction line list, a wavelength of 1.5418 Å. Input: a crystal structure in Alexandria, relaxed with PBE.
Theoretical powder diffraction line list, a wavelength of 1.5418 Å. Input: a crystal structure in Alexandria, relaxed with PBE.
Theoretical powder diffraction line list, a wavelength of 1.5418 Å. Input: a crystal structure in Alexandria, relaxed with PBE.
Theoretical powder diffraction line list, a wavelength of 1.5418 Å. Input: a crystal structure in Alexandria, relaxed with PBE.
Theoretical powder diffraction line list, a wavelength of 1.5418 Å. Input: a crystal structure in Alexandria, relaxed with PBE.